To do:
It remains to return the lines underneath from the one with "0.509 0.497" to the one with "0.011" exactly.

Excerpt:
<<<
[1]
Compound: Na4Sb2C4SO16
Source: the Materials Project
Functional: GGA-PBE
Structure: optimized geometry

```
data_Na4Sb2C4SO16
_chemical_formula_sum 'Na16 Sb8 C16 S4 O64'
_cell_length_a 10.199
_cell_length_b 10.213
_cell_length_c 17.687
_cell_angle_alpha 74.08
_cell_angle_beta 73.53
_cell_angle_gamma 60.83
_space_group_name_H-M_alt 'P 1'
_space_group_IT_number 1
loop_
_space_group_symop_operation_xyz
'x,y,z'
loop_
_atom_site_label
_atom_site_fract_x
_atom_site_fract_y
_atom_site_fract_z
_atom_site_occupancy
Na1 0.000 0.000 0.000 1
Na2 0.001 0.589 0.001 1
Na3 0.084 0.509 0.497 1
Na4 0.176 0.178 0.676 1
Na5 0.207 0.796 0.797 1
Na6 0.275 0.708 0.296 1
Na7 0.287 0.304 0.296 1
Na8 0.370 0.371 0.871 1
Na9 0.479 0.871 0.371 1
Na10 0.499 0.494 0.504 1
Na11 0.506 0.090 0.502 1
Na12 0.588 0.002 0.001 1
Na13 0.674 0.673 0.175 1
Na14 0.704 0.287 0.295 1
Na15 0.795 0.207 0.796 1
Na16 0.797 0.798 0.794 1
Sb1 0.077 0.094 0.336 1
Sb2 0.326 0.839 0.083 1
Sb3 0.335 0.336 0.092 1
Sb4 0.335 0.827 0.588 1
Sb5 0.591 0.593 0.836 1
Sb6 0.829 0.338 0.584 1
Sb7 0.837 0.327 0.082 1
Sb8 0.837 0.835 0.586 1
C1 0.006 0.383 0.196 1
C2 0.008 0.010 0.193 1
C3 0.175 0.778 0.473 1
C4 0.176 0.166 0.476 1
C5 0.194 0.195 0.007 1
C6 0.276 0.666 0.974 1
C7 0.386 0.006 0.197 1
C8 0.474 0.480 0.171 1
C9 0.506 0.507 0.695 1
C10 0.508 0.884 0.696 1
C11 0.668 0.280 0.971 1
C12 0.674 0.669 0.977 1
C13 0.692 0.696 0.507 1
C14 0.776 0.171 0.474 1
C15 0.883 0.509 0.695 1
C16 0.976 0.979 0.671 1
S1 0.273 0.274 0.773 1
S2 0.397 0.398 0.398 1
S3 0.769 0.775 0.273 1
S4 0.898 0.898 0.898 1
O1 0.051 0.768 0.482 1
O2 0.063 0.199 0.011 1
O3 0.068 0.953 0.257 1
O4 0.076 0.942 0.131 1
O5 0.103 0.240 0.535 1
O6 0.113 0.961 0.672 1
O7 0.125 0.219 0.409 1
O8 0.139 0.376 0.193 1
O9 0.183 0.184 0.802 1
O10 0.186 0.422 0.804 1
O11 0.205 0.319 0.002 1
O12 0.218 0.590 0.032 1
O13 0.227 0.845 0.406 1
O14 0.249 0.486 0.369 1
O15 0.255 0.717 0.531 1
O16 0.266 0.794 0.982 1
O17 0.303 0.041 0.482 1
O18 0.303 0.302 0.683 1
O19 0.315 0.065 0.010 1
O20 0.323 0.060 0.264 1
O21 0.341 0.618 0.905 1
O22 0.359 0.613 0.171 1
O23 0.367 0.369 0.488 1
O24 0.381 0.634 0.692 1
O25 0.398 0.875 0.192 1
O26 0.422 0.187 0.804 1
O27 0.430 0.955 0.638 1
O28 0.435 0.083 0.134 1
O29 0.454 0.813 0.760 1
O30 0.456 0.362 0.172 1
O31 0.485 0.250 0.368 1
O32 0.488 0.488 0.369 1
O33 0.543 0.267 0.980 1
O34 0.558 0.444 0.762 1
O35 0.563 0.705 0.501 1
O36 0.578 0.447 0.630 1
O37 0.598 0.748 0.035 1
O38 0.609 0.461 0.173 1
O39 0.625 0.719 0.909 1
O40 0.640 0.880 0.690 1
O41 0.671 0.687 0.302 1
O42 0.675 0.923 0.305 1
O43 0.697 0.818 0.511 1
O44 0.718 0.346 0.904 1
O45 0.720 0.092 0.531 1
O46 0.745 0.220 0.030 1
O47 0.749 0.987 0.869 1
O48 0.763 0.299 0.484 1
O49 0.793 0.804 0.183 1
O50 0.798 0.544 0.986 1
O51 0.812 0.566 0.512 1
O52 0.812 0.573 0.759 1
O53 0.842 0.126 0.405 1
O54 0.862 0.112 0.672 1
O55 0.868 0.869 0.988 1
O56 0.883 0.136 0.190 1
O57 0.895 0.377 0.694 1
O58 0.914 0.685 0.303 1
O59 0.934 0.453 0.137 1
O60 0.940 0.579 0.632 1
O61 0.948 0.315 0.260 1
O62 0.958 0.862 0.671 1
O63 0.987 0.750 0.868 1
O64 0.988 0.988 0.869 1
```

Calculated values
formation energy = -181 kJ per mole of atoms

***

[2]
Compound: Na4Sb2C4SO16
Source: the Materials Project
Functional: GGA-PBE
Structure: optimized geometry

```
data_Na4Sb2C4SO16
_chemical_formula_sum 'Na8 Sb4 C8 S2 O32'
_cell_length_a 10.109
_cell_length_b 10.186
_cell_length_c 10.190
_cell_angle_alpha 118.98
_cell_angle_beta 90.92
_cell_angle_gamma 118.75
_space_group_name_H-M_alt 'P 1'
_space_group_IT_number 1
loop_
_space_group_symop_operation_xyz
'x,y,z'
loop_
_atom_site_label
_atom_site_fract_x
_atom_site_fract_y
_atom_site_fract_z
_atom_site_occupancy
Na1 0.000 0.000 0.000 1
Na2 0.003 0.002 0.591 1
Na3 0.148 0.503 0.843 1
Na4 0.154 0.519 0.263 1
Na5 0.390 0.004 0.004 1
Na6 0.734 0.096 0.840 1
Na7 0.737 0.495 0.842 1
Na8 0.745 0.503 0.253 1
Sb1 0.072 0.254 0.421 1
Sb2 0.566 0.746 0.923 1
Sb3 0.567 0.751 0.419 1
Sb4 0.568 0.250 0.430 1
C1 0.353 0.322 0.260 1
>>>

Here it is:
Na3 0.084 0.509 0.497 1
Na4 0.176 0.178 0.676 1
Na5 0.207 0.796 0.797 1
Na6 0.275 0.708 0.296 1
Na7 0.287 0.304 0.296 1
Na8 0.370 0.371 0.871 1
Na9 0.479 0.871 0.371 1
Na10 0.499 0.494 0.504 1
Na11 0.506 0.090 0.502 1
Na12 0.588 0.002 0.001 1
Na13 0.674 0.673 0.175 1
Na14 0.704 0.287 0.295 1
Na15 0.795 0.207 0.796 1
Na16 0.797 0.798 0.794 1
Sb1 0.077 0.094 0.336 1
Sb2 0.326 0.839 0.083 1
Sb3 0.335 0.336 0.092 1
Sb4 0.335 0.827 0.588 1
Sb5 0.591 0.593 0.836 1
Sb6 0.829 0.338 0.584 1
Sb7 0.837 0.327 0.082 1
Sb8 0.837 0.835 0.586 1
C1 0.006 0.383 0.196 1
C2 0.008 0.010 0.193 1
C3 0.175 0.778 0.473 1
C4 0.176 0.166 0.476 1
C5 0.194 0.195 0.007 1
C6 0.276 0.666 0.974 1
C7 0.386 0.006 0.197 1
C8 0.474 0.480 0.171 1
C9 0.506 0.507 0.695 1
C10 0.508 0.884 0.696 1
C11 0.668 0.280 0.971 1
C12 0.674 0.669 0.977 1
C13 0.692 0.696 0.507 1
C14 0.776 0.171 0.474 1
C15 0.883 0.509 0.695 1
C16 0.976 0.979 0.671 1
S1 0.273 0.274 0.773 1
S2 0.397 0.398 0.398 1
S3 0.769 0.775 0.273 1
S4 0.898 0.898 0.898 1
O1 0.051 0.768 0.482 1
O2 0.063 0.199 0.011 1